The Bakemono Zukushi “Monster” Scroll (18th–19th century)
These wonderful images featured here are from a Japanese painted scroll known as the Bakemono zukushi. The artist and date is unknown, though its thought to hail from the Edo-period, sometime from the 18th or 19th century. Across it's length are depicted a ghoulish array of "yokai" from Japanese folklore. In his The Book of Yokai, Michael Dylan Foster describes a yokai as:
a weird or mysterious creature, a monster or fantastic being, a spirit or a sprite ... creatures of the borderlands, living on the edge of town, or in the mountains between villages, or in the eddies of a river running between two rice fields. They often appear at twilight, that gray time when the familiar seems strange and faces become indistinguishable. They haunt bridges and tunnels, entranceways and thresholds. They lurk at crossroads.
The class of yokai characterised by an ability to shapeshift, and that featured in this scroll, is the bakemono (or obake), a word literally meaning "changing thing" or "thing that changes". The founding father of minzokugaku (Japanese folklore studies), Yanagita Kuno (1875–1962), drew a distinction between yurei (ghosts) and bakemono: the former haunt people and are associated with the depth of night, whereas the latter haunt places and are seen by the dim light of dusk or dawn.
Amongst the bakemono monsters depicted in the scroll is the rokurokubi (ろくろくび), a long-necked woman whose name literally means "pulley neck". Whether shown with a completely detachable head (more common in Chinese versions), or with head upon the end of a long threadlike neck as shown here, the head of the rokurokubi has the ability to fly about independently of the body. In his 1904 collection Kwaidan, Lafcadio Hearn provides the first extended discussion of this yokai in English, telling of a samurai-turned-travelling-priest who finds himself staying the night in a household of rokurokubi intent on eating their guest.
Yuki-onna ("snow woman" - 雪女) appears on snowy nights as a beautiful woman with long hair. Details vary from region to region — in some parts a sighting would mean your spirit being drawn from your body, in other parts she asks you to hold her baby. Explanations for her vary too, for some she is the spirit of the snow, for others the ghost of a woman who perished in the snow, or even as a moon princess expelled from the sky-world. Yuki-onna again appears in Hearn's Kwaidan, where she visits two woodcutters caught in a snowstorm, killing the older by blowing in his face, and promising to kill the younger if he ever tells of what happened (which, many years later, he does).
Kami-kiri ("hair cutter" - 髪切) is a yokai known for sneaking up on people and cutting off their hair. The phenomenon of people's hair being mysteriously chopped appeared in many urban legends, in the Edo period in particular. Sometimes the chop would be attributed to a "demon wind", but often to a creature doing the cutting, such as the kamikiri-mushi (a "hair cutting- insect", likely in reference to the praying mantis, with its scythelike front limbs, and named a very similar-sounding kamakiri in Japanese). In the Bakemono zukushi, it appears with a bird like face and huge pincer hand brandishing the severed crop.
Below we've featured our highlights from the scroll (see the whole thing complete here), the digitisation of which appears to have come from the International Research Center for Japanese Studies - Yokai Database. Many thanks to Pink Tentacle, from whom we've taken the image descriptions. If you want to learn more about yokai in general then do check out Michael Dylan Foster's fascinating The Book of Yokai.
Oyajirome (親白眼) has a bulging eye on the back of its head and a claw on its one-fingered hand.
Daichiuchi (大地打) is a mallet-wielding monster with a bird-like face.
**Someone pasted records of molecules at this point**
........
Entry 1:
Computed, not measured: the ion C8H15N2 with charge +1, with ωB97M-V with the def2-TZVPD basis set.

Structure (XYZ):
```
25
Properties=species:S:1:pos:R:3:forces:R:3:nbo_charge:R:1
H 0.7746 -3.3648 -0.1742 0.085 2.291 -0.375 0.26
H -1.3498 2.3048 0.7998 -0.005 0.111 0.362 0.24
H 0.6736 2.0811 -0.5574 0.059 0.375 -0.319 0.19
H -2.3195 0.1980 -1.8482 1.580 0.042 -0.292 0.25
C -0.8077 1.3655 0.8564 1.328 -0.047 2.290 -0.24
H 2.2133 -2.0644 -0.2384 -1.179 -1.198 -0.368 0.21
H -1.9819 1.8340 -1.3292 1.394 -1.508 -0.598 0.23
H -1.1860 -2.7806 1.1189 0.411 -1.347 0.280 0.25
H 2.6598 0.5840 -1.3132 -0.021 -0.166 -0.266 0.20
C 0.6225 1.5356 0.3739 -1.784 -3.935 -2.371 -0.21
C -1.0767 -0.9942 0.3104 5.089 2.773 -1.765 0.14
H 1.1548 2.0243 1.0860 1.643 1.444 2.130 0.23
C 1.1072 -2.2676 -0.2465 1.295 0.306 0.887 -0.48
C 0.5098 -1.0829 0.0179 -1.863 0.242 0.475 0.13
N 1.2324 0.1554 0.1659 -0.700 0.856 0.594 -0.46
N -1.5486 0.4136 0.0114 -1.647 -2.398 3.032 -0.38
H -2.7377 -1.8601 1.1000 -2.259 -0.023 0.475 0.22
H 3.2080 -0.6115 -0.1408 -0.270 0.580 0.160 0.22
H -0.6991 0.9485 1.9346 -0.817 0.710 -1.810 0.26
H -2.5614 0.4658 0.3112 1.269 -0.168 -0.294 0.45
H 3.2134 1.1852 0.2497 -1.576 -1.788 -0.385 0.23
C -1.4899 0.7698 -1.3560 -3.455 2.659 -1.705 -0.43
C 2.6116 0.3078 -0.2574 1.576 0.844 0.062 -0.42
C -1.7464 -1.9420 0.8430 -0.051 -0.252 0.343 -0.35
H -0.4763 0.7948 -1.7180 -0.100 -0.404 -0.543 0.26
```
Forces are in eV/Å.

Computed properties:
**HOMO-LUMO gap**: 8.488 eV
**Multiplicity**: 1
**E_HOMO**: -11.667 eV
**Total charge**: +1
**Max |F|**: 6.059 eV/A
**Lowest unoccupied orbital energy**: -3.18 eV



Entry 2:
Computed, not measured: the ion C7H13N2O with charge +1, with ωB97M-V with the def2-TZVPD basis set.

Structure (XYZ):
```
23
Properties=species:S:1:pos:R:3:forces:R:3:nbo_charge:R:1
H -0.6596 2.1421 -0.2705 -0.145 -0.777 -0.371 0.23
H 1.5262 -0.3214 -2.5805 0.752 -0.424 -2.149 0.39
H -0.7286 1.6833 1.3064 -0.072 -0.333 1.294 0.23
H 3.7093 -0.0220 -1.4557 0.828 -0.137 0.317 0.24
C -1.0714 -0.0466 -0.0388 -1.508 -1.283 0.267 -0.25
H -1.5949 -2.0923 0.7470 -0.498 -0.075 -0.737 0.23
H 1.9622 -0.1178 2.6631 -1.561 0.095 -0.755 0.50
H -2.2468 1.8441 0.3457 0.858 -0.974 0.277 0.26
C 2.7820 0.0082 -0.9221 -1.771 0.891 -5.134 -0.03
C -1.8302 -1.0480 0.9287 -0.859 1.009 -0.672 -0.59
C -1.5367 -0.2638 -1.5023 0.388 -2.740 0.005 -0.58
C 2.6428 0.1016 0.4043 -1.378 -1.425 2.561 0.05
C 0.3177 -0.3608 0.0295 2.312 1.331 0.516 0.63
H -0.7562 -0.0162 -2.2656 -1.127 0.156 0.742 0.22
N 1.2879 -0.1325 0.8571 0.584 -0.504 -1.270 -0.15
H -2.4720 0.2087 -1.5798 -0.979 1.244 -0.652 0.23
H -1.4861 -0.9330 1.9079 0.729 0.635 1.718 0.22
H -2.9179 -0.7849 1.0106 0.888 -0.588 -0.636 0.25
C -1.1987 1.4300 0.3872 -0.577 1.618 -1.210 -0.61
N 1.6600 0.1056 -1.7158 1.538 -0.042 4.608 -0.43
H 3.4170 0.0413 1.1933 -0.454 0.180 -0.848 0.25
H -1.8729 -1.3658 -1.6513 1.054 1.570 0.243 0.23
O 1.0668 -0.0596 2.2016 0.998 0.571 1.887 -0.50
```
Forces are in eV/Å.
........
Dōmo-kōmo (どうもこうも) is a two-headed creature with gray skin.
Sara-hebi (さら蛇) is a large, snake-like creature with the head of a woman.
Mi-no-kedachi (身の毛立) has a coat of body hair that stands on end.
Nobusuma (のぶすま) has a brown body, human-like face, spiky hair, claws, and sharp black teeth.
[Molecular data from another source follow]
........
(1)
DFT (ωB97M-V with the def2-TZVPD basis set) results for 2 unconnected molecules or ions with the total composition C28H42N3O10PS in a non-equilibrium geometry.

```
85
Properties=species:S:1:pos:R:3:forces:R:3:lowdin_charge:R:1
H -2.0417 2.2703 -2.7931 0.0 0.0 -0.3 0.077
H -0.2028 2.1924 -2.0504 0.0 0.0 0.0 0.082
C -2.3700 3.4505 0.9063 0.2 0.2 0.5 -0.095
O -1.8305 -3.8766 1.7703 -0.1 0.0 0.0 -0.145
O 0.0314 -2.8586 3.0020 -0.2 -0.2 0.0 -0.102
H 2.5202 2.4812 -2.3561 0.1 0.0 -0.1 0.096
H -3.9136 -0.0942 -2.9974 -0.2 -0.1 0.2 0.118
H 1.0677 2.8487 -0.3095 0.0 0.0 0.0 0.057
H 1.9268 5.0059 -2.2612 0.0 0.1 0.0 0.103
N -3.5415 3.1877 -0.9574 -0.1 0.1 -0.4 -0.104
H -3.4087 -3.0085 -2.4487 -0.1 -0.1 0.0 0.115
H -3.5854 -5.2129 -1.7829 0.1 -0.2 -0.1 0.107
C 4.9449 -3.8452 1.1443 0.2 0.0 0.0 -0.101
C -4.0392 2.7088 -2.2362 -0.2 -0.6 0.1 -0.138
H 2.2363 4.1235 -0.0605 0.0 0.1 0.1 0.077
H -1.1864 0.0575 -3.5435 0.0 0.0 -0.1 0.106
C 0.3826 -0.1576 -1.5440 0.2 0.3 -0.1 -0.141
C 0.6433 -1.0579 0.6984 0.1 0.0 0.1 -0.052
C -3.4536 4.3531 0.9239 -0.1 0.2 0.3 -0.097
H -1.7015 -3.2425 -2.1075 0.0 0.1 -0.2 0.102
H -0.0096 1.9780 -3.8040 -0.2 0.1 0.1 0.111
C -0.9238 -0.6619 -1.5627 -0.2 0.2 0.0 -0.081
C 1.2685 3.9060 -0.5062 -0.1 -0.2 -0.1 -0.092
O 4.7009 -2.4885 0.8393 -0.1 0.2 0.1 -0.141
H 4.7854 -4.4935 0.2789 -0.1 -0.1 0.0 0.091
C -1.7911 -0.4252 -2.7819 -0.1 -0.2 0.3 -0.097
H 1.9475 0.5113 -2.5435 0.1 0.1 0.0 0.105
C -2.4507 2.7508 -0.2581 0.3 -0.3 -0.1 -0.109
C -2.9607 -4.6329 -1.1102 -0.1 0.2 0.0 -0.205
C 1.2656 4.1779 -2.0140 -0.3 -0.3 0.0 -0.243
H -2.0688 -1.4044 -3.1637 0.0 0.0 -0.2 0.101
H 3.6809 1.9954 2.8461 0.0 0.0 0.0 0.079
H 3.2447 -2.3153 -0.5822 -0.1 0.1 -0.1 0.153
H -1.7970 1.9618 -0.5849 -0.1 0.0 -0.2 0.097
C 1.7451 -0.9768 1.7272 0.2 -0.1 -0.1 -0.316
H 5.6859 1.3947 6.0278 0.0 -0.1 0.0 0.082
O -2.2468 -1.6377 2.8978 0.1 -0.1 -0.1 -0.247
H 4.0102 1.1750 6.5507 0.0 -0.1 0.0 0.083
C 1.1455 -0.3884 -0.4085 0.1 -0.2 0.1 -0.018
C 1.6500 2.9373 -2.8305 0.0 0.2 0.4 -0.183
H 4.9555 0.9514 3.5061 0.0 -0.1 0.0 0.091
H -5.0459 4.6793 -0.5330 0.0 -0.1 -0.4 0.116
C 0.4986 1.9280 -2.8405 0.2 -0.3 -0.3 -0.190
H 0.2514 4.4596 -2.3102 0.0 0.2 -0.1 0.103
H -2.6310 -3.9472 2.3136 0.0 -0.1 0.1 0.101
N 2.9907 -0.8999 0.9671 -0.6 0.8 0.3 0.071
C 4.7292 1.9006 6.1673 0.0 0.2 0.0 -0.028
O 1.6877 -0.8359 2.9146 0.0 -0.2 -0.1 0.140
O -1.5872 -6.4167 0.3237 -0.3 -0.3 -0.2 -0.144
C -4.1512 4.1638 -0.2315 -0.2 0.3 0.3 -0.111
C -3.0227 1.8427 -2.9772 -0.3 0.2 0.3 -0.174
S -1.4051 -5.5188 -0.9735 0.2 0.0 -0.4 0.594
H -3.5564 -1.4389 -0.8089 0.1 0.1 0.1 0.114
C 3.3636 -2.2343 0.5049 0.7 -0.3 0.0 -0.190
C -2.6918 -3.2266 -1.6609 -0.1 0.0 0.2 -0.186
H 5.9871 -3.9230 1.4405 0.1 0.0 0.0 0.089
P -1.2432 -2.4317 2.1712 -0.3 0.5 0.4 0.472
H 4.8484 2.7064 6.8875 0.0 0.0 0.0 0.078
C 4.0250 1.4729 3.7360 0.0 0.2 -0.1 -0.023
H -1.6146 3.3295 1.6627 0.1 0.0 0.0 0.097
H -3.7137 5.0751 1.6778 0.1 0.0 0.1 0.093
H -4.3701 3.5518 -2.8381 0.2 0.2 0.0 0.123
........
Uma-shika (馬鹿) is a horse-like monster with a horn on its head and a single bulging eye.
Hajikkaki (はぢっかき) has a round white body with short arms and legs.
Odoroshi (おどろし) is a red-faced monster with big eyes, black teeth, and long hair.
Rokurokubi (ろくろくび), a long-necked woman is pictured next to an Inugami (犬神) dog spirit.
Boukon (亡魂), a departed soul, appears to have pale blue skin, long hair, and a distended belly.
Ushi-oni (牛鬼) is a sea monster with the head of a cow and the body of a giant spider or crab.
Yamawaro (山童) is a one-eyed kappa-like creature found in the mountains.
Buraribi (ぶらり火) is a white, bird-like creature surrounded by ghostly flames.
Uwan (うわん) is a creature that inhabits abandoned buildings.
Akashita ("red tongue" - 赤舌) is a hairy-faced creature that hides in a dark cloud.
Yuki-onna ("snow woman" - 雪女) appears on snowy nights as a beautiful woman with long hair.
Kami-kiri ("hair cutter" - 髪切) are known for sneaking up on people and cutting off their hair.
{"formula": "C6H16N2", "method": "the ωB97M-V functional and the def2-TZVPD basis", "symbols": ["N", "C", "C", "C", "C", "N", "C", "C", "H", "H", "H", "H", "H", "H", "H", "H", "H", "H", "H", "H", "H", "H", "H", "H"], "positions_angstrom": [[-2.228, -0.421, -0.307], [-0.858, -0.744, 0.117], [-1.024, -1.174, 1.656], [0.186, -1.552, 2.551], [0.174, 0.378, 0.018], [0.645, 0.643, -1.355], [0.276, 1.974, -1.855], [2.010, 0.276, -1.659], [-2.068, 0.114, -1.226], [-2.634, 0.311, 0.293], [-0.629, -1.660, -0.465], [-1.810, -1.965, 1.559], [-1.511, -0.330, 2.064], [0.036, -2.450, 3.208], [0.180, -0.733, 3.336], [1.098, -1.427, 2.004], [1.066, 0.209, 0.616], [-0.429, 1.191, 0.385], [-0.582, 1.873, -2.521], [0.990, 2.588, -2.410], [0.092, 2.621, -0.935], [2.010, -0.827, -1.734], [2.438, 0.582, -2.601], [2.571, 0.524, -0.737]], "lowdin_charge": [0.008, -0.401, -0.215, -0.099, -0.175, -0.276, -0.105, -0.102, 0.096, 0.069, 0.140, 0.112, 0.068, 0.079, 0.080, 0.041, 0.101, 0.106, 0.068, 0.070, 0.093, 0.082, 0.078, 0.082], "gap_ev": 9.215, "relative_energy_kcal_mol": 50.2, "fmax_ev_per_a": 3.00, "e_lumo_ev": 1.03, "smiles": "CC[C@@H](N)CN(C)C", "e_homo_ev": -8.18, "spin_multiplicity": 1}

* * * * *

{
  "formula": "BCdH24O14P",
  "method": "wB97M-V/def2-TZVPD",
  "symbols": ["Cd", "P", "O", "O", "O", "O", "B", "H", "H", "H", "H", "O", "H", "H", "O", "H", "H", "O", "H", "H", "O", "H", "H", "O", "H", "H", "O", "H", "H", "O", "H", "H", "O", "H", "H", "O", "H", "H", "O", "H", "H"],
  "positions_angstrom": [[-0.41624, 0.20209, 1.59415], [-0.68760, -1.52559, 3.57179], [0.20590, -2.34368, 4.57166], [-0.59536, -1.71605, 2.08852], [-0.27045, -0.04230, 3.54595], [-2.10896, -1.73788, 4.21610], [-0.41711, 0.06374, -0.63024], [0.30389, -0.62384, -0.21594], [-0.39950, -0.10324, -1.69609], [-1.40293, -0.18654, -0.27002], [-0.15712, 1.07252, -0.34916], [-2.51584, 0.51036, 1.81365], [-3.25601, 0.24977, 1.26549], [-2.88009, 0.56845, 2.69693], [-0.26567, 2.25828, 1.98614], [-0.85734, 2.70295, 1.37917], [0.30797, 2.95129, 2.31312], [-2.66487, 0.04868, -2.75784], [-1.75992, 0.07216, -2.44681], [-2.93103, -0.86479, -2.65308], [0.25474, 2.26339, -2.54906], [0.96582, 1.86064, -3.04745], [-0.00628, 1.59238, -1.91830], [-1.07156, -2.86495, -1.67167], [-1.01982, -1.99044, -1.28595], [-1.82415, -3.27227, -1.24280], [0.84092, 4.51020, -0.11001], [1.26726, 3.65418, -0.06884], [-0.09278, 4.31764, -0.02419], [1.74278, -0.21729, 1.69467], [2.22324, -0.04234, 2.50386], [2.18481, -0.97528, 1.31221], [2.35190, 0.97871, -3.79679], [2.10175, 0.38732, -3.08692], [2.75660, 0.40987, -4.45168], [1.55532, -2.76249, 0.97910], [0.70089, -2.48479, 1.30936], [1.35383, -3.29237, 0.20783], [2.39611, -0.95724, -1.77595], [1.70881, -0.76064, -1.13939], [2.37825, -1.91042, -1.86172]],
Jun 5, 2018